I used to be really, really, really into politics. My poor husband didn't dare watch the news because I would get so angry about how biased the main stream media was and how ridiculous the politicians were! He heard about it from me like a crazy person ranting over their losing sports team and yelling at the TV. I am a little slow sometimes, but I finally figured out this was not pleasing to him, and toned it down.
(The entry is interrupted by calculated crystals)
<<<
No. 1
Density functional theory data (GGA-PBE) for a relaxed structure of Sm2Dy3Se4.

Its formation energy from raw total energies is -1.5519 eV per atom. Its crystal system is monoclinic. As for the energy: -51.15 eV per cell.

a b c (Å): 7.030 7.030 9.939
angles (deg): 117.74 117.74 33.36
Element x y z (fractional)
Sm: 0.094 0.094 0.405
Sm: 0.906 0.906 0.595
Dy: 0.299 0.299 0.207
Dy: 0.500 0.500 0.000
Dy: 0.701 0.701 0.793
Se: 0.106 0.106 0.907
Se: 0.304 0.304 0.701
Se: 0.696 0.696 0.299
Se: 0.894 0.894 0.093



No. 2
Density functional theory data (GGA-PBE) for a relaxed structure of TbCu4Bi.

Its crystal system is cubic. The calculation puts the formation enthalpy at 0 K at -0.7 eV per formula unit. As for the energy: -25.61 eV per cell.

a b c (Å): 5.276 5.276 5.276
angles (deg): 60.00 60.00 60.00
Element x y z (fractional)
Tb: 0.000 0.000 0.000
Cu: 0.374 0.374 0.374
Cu: 0.374 0.374 0.877
Cu: 0.374 0.877 0.374
Cu: 0.877 0.374 0.374
Bi: 0.750 0.750 0.750



No. 3
Density functional theory data (GGA-PBE) for a relaxed structure of SrCaSi2.

Its formation energy from raw total energies is -0.4947 eV per atom. Its crystal system is orthorhombic. The excess energy over the best structure of this formula in the dataset is 0.000 eV/atom. As for the energy: -33.02 eV per cell.

a b c (Å): 3.981 4.673 11.112
angles (deg): 90.00 90.00 90.00
Element x y z (fractional)
Sr: 0.000 0.000 0.000
Sr: 0.000 0.500 0.500
Ca: 0.500 0.000 0.276
Ca: 0.500 0.500 0.776
Si: 0.000 0.000 0.711
Si: 0.000 0.500 0.211
Si: 0.500 0.000 0.579
Si: 0.500 0.500 0.079



No. 4
Density functional theory data (GGA-PBE) for a relaxed structure of LaAl2PdAu2.

Its crystal system is tetragonal. The calculation puts the formation enthalpy at 0 K at -3.2 eV per formula unit. As for the energy: -27.37 eV per cell.

a b c (Å): 4.708 4.708 5.886
angles (deg): 90.00 90.00 90.00
Element x y z (fractional)
La: 0.000 0.000 0.000
Al: 0.000 0.500 0.500
Al: 0.500 0.000 0.500
Pd: 0.000 0.000 0.500
Au: 0.500 0.500 0.234
Au: 0.500 0.500 0.766



No. 5
Density functional theory data (GGA-PBE) for a relaxed structure of CeSm4Ru2.

Its crystal system is monoclinic. The calculation puts the formation enthalpy at 0 K at -0.8 eV per formula unit. As for the energy: -88.40 eV per cell.

a b c (Å): 7.819 6.486 7.829
angles (deg): 90.00 109.36 90.00
Element x y z (fractional)
Ce: 0.135 0.250 0.365
Ce: 0.865 0.750 0.635
Sm: 0.066 0.750 0.085
Sm: 0.306 0.000 0.805
Sm: 0.306 0.500 0.805
Sm: 0.416 0.750 0.436
Sm: 0.584 0.250 0.564
Sm: 0.694 0.000 0.195
Sm: 0.694 0.500 0.195
Sm: 0.934 0.250 0.915
Ru: 0.060 0.750 0.440
Ru: 0.318 0.250 0.180
Ru: 0.682 0.750 0.820
Ru: 0.940 0.250 0.560



No. 6
Density functional theory data (GGA-PBE) for a relaxed structure of NbPdS3.

Its formation energy from raw total energies is 0.5443 eV per atom. Its crystal system is cubic. The excess energy over the best structure of this formula in the dataset is 1.009 eV/atom. As for the energy: -24.92 eV per cell.
>>>
One night, I had a dream. I have learned over the years that there are dreams and every now and then, there are DREAMS. They are the ones given by God and stand out in a different type of a way.
Inserted here: materials data:
# 1
Compound: BaCaMgAu2
Source: Alexandria via LeMat-Bulk
Functional: PBE
Structure: relaxed

## Properties
**ρ**: 6.9 g cm⁻³
**Size of the total moment**: 0.0 μB per formula unit
**V**: 287.34 Å³ per cell
**Crystal system**: tetragonal
**Raw total energy**: -3.03 eV/atom

Cell: 4.6430 4.6430 13.3295 Å, 90.00 90.00 90.00°
Space group I-4m2 (No. 119)
Asymmetric unit:
Ba 0.0000 0.0000 0.0000 [2 per cell]
Ca 0.0000 0.5000 0.2500 [2 per cell]
Mg 0.0000 0.5000 0.7500 [2 per cell]
Au 0.0000 0.0000 0.3892 [4 per cell]


# 2
Compound: TlCrRe2
Source: Alexandria via LeMat-Bulk
Functional: PBE
Structure: relaxed

## Properties
**ρ**: 15.6 g cm⁻³
**ΔE to the lowest computed polymorph**: 41 kJ/mol of formula units
**Size of the total moment**: 2.9 μB per formula unit
**V**: 200.57 Å³ per cell
**Crystal system**: trigonal
**Raw total energy**: -8.60 eV/atom

Cell: 2.9142 2.9142 27.2703 Å, 90.00 90.00 120.00°
Space group R3m (No. 160, hexagonal axes)
Asymmetric unit:
Tl 0.0000 0.0000 0.0000 [3 per cell]
Cr 0.0000 0.0000 0.7555 [3 per cell]
Re 0.0000 0.0000 0.2409 [3 per cell]
Re 0.0000 0.0000 0.4977 [3 per cell]


# 3
Compound: Ac2PHPt6
Source: Alexandria via LeMat-Bulk
Functional: PBE
Structure: relaxed

## Properties
**ρ**: 15.2 g cm⁻³
**Size of the total moment**: 0.0 μB per formula unit
**V**: 363.02 Å³ per cell
**Crystal system**: monoclinic
**Raw total energy**: -6.07 eV/atom

Cell: 10.2413 5.9199 6.8839 Å, 90.00 119.56 90.00°
Space group C2/m (No. 12)
Asymmetric unit:
Ac 0.2239 0.0000 0.1706 [4 per cell]
P 0.0000 0.5000 0.0000 [2 per cell]
H 0.0000 0.0000 0.5000 [2 per cell]
Pt 0.0220 0.2557 0.3091 [8 per cell]
Pt 0.2334 0.0000 0.6922 [4 per cell]


# 4
Compound: PrHo5Th
Source: Alexandria via LeMat-Bulk
Functional: PBE
Structure: relaxed

## Properties
**ρ**: 8.4 g cm⁻³
**Size of the total moment**: 0.0 μB per formula unit
**V**: 235.65 Å³ per cell
**Crystal system**: triclinic
**Raw total energy**: -4.79 eV/atom

Cell: 6.2331 6.2338 6.8909 Å, 99.53 99.38 112.82°
Space group P-1 (No. 2)
Asymmetric unit:
Pr 0.0000 0.0000 0.0000 [1 per cell]
Ho 0.0000 0.0000 0.5000 [1 per cell]
Ho 0.0887 0.5286 0.7647 [2 per cell]
Ho 0.4715 0.9115 0.2354 [2 per cell]
Th 0.5000 0.5000 0.5000 [1 per cell]


# 5
Compound: Pr2NdY7
Source: Alexandria via LeMat-Bulk
Functional: PBE
Structure: relaxed

## Properties
**ρ**: 5.2 g cm⁻³
**ΔE to the lowest computed polymorph**: 0 kJ/mol of formula units
**Size of the total moment**: 0.0 μB per formula unit
**V**: 332.63 Å³ per cell
**Crystal system**: triclinic
**Raw total energy**: -5.94 eV/atom

Cell: 6.2445 7.2243 8.0701 Å, 102.96 97.34 106.66°
Space group P-1 (No. 2)
Asymmetric unit:
Pr 0.0991 0.1993 0.2001 [2 per cell]
Nd 0.5000 0.5000 0.0000 [1 per cell]
Y 0.1008 0.7007 0.2015 [2 per cell]
Y 0.3003 0.1007 0.6000 [2 per cell]
Y 0.3007 0.5996 0.5982 [2 per cell]
Y 0.5000 0.0000 0.0000 [1 per cell]


# 6
Compound: Hg3TeO
Source: Alexandria via LeMat-Bulk
Functional: PBE
Structure: relaxed

## Properties
**ρ**: 6.5 g cm⁻³
In this dream, I was in someone's home and Michelle Obama came in with a large entourage of people. For some reason, I had to babysit her kids (not the 2 she has, but a bunch of kids!).I was not too happy about this, but meanwhile she left, yet her people stayed. The kids were quite wild and I had just about had enough, when her entourage decided to leave, too.
**Between two parts of the piece: materials data:**
<<<
Ca6Cd5Bi: relaxed, PBE.

The raw total energy is -0.158 Ry/atom. The density of states at the Fermi level comes out at 12.27 states/eV per cell. For the total magnetization, the calculation gives 0.000 μB per atom. As for the formation energy: -0.4507 eV/atom. As for the crystal system: orthorhombic.

Lattice parameters (Å, degrees): 5.4744 7.6752 16.4384 90.00 90.00 90.00
Last column: nearest neighbours and their distance in Å.
Space group Immm (No. 71)
Asymmetric unit:
Ca (0.0000, 0.2474, 0.0000) x4  6 Cd 3.33-3.45, 2 Bi 3.35
Ca (0.0000, 0.2505, 0.3326) x8  7 Cd 3.24-3.35, 1 Bi 3.36
Cd (0.0000, 0.0000, 0.1665) x4  8 Ca 3.33-3.34
Cd (0.0000, 0.5000, 0.1735) x4  8 Ca 3.24-3.45
>>>
**Here the piece continues:**
As I walked these people to the back door, they all stood in a line, waiting to go. I began to tell them why their politics were wrong. As I went on and on, I looked at them and their heads were all hanging down and looking at the floor!
"What's the use," I thought, " They are not even listening!"
Then, I looked again and even though I saw that their heads were down, I saw one person's eye pop open and peek at me...then another person did the same! About 3 or 4 of the people were peeking at me, even though it did not seem like they were looking at me or listening at all! This dream really stuck with me for awhile, but I did not understand it.
A few months later, after having this dream, I was at my In-law's place, sitting at the dining room table with my brother-in-law and precious mother-in-law. We were all discussing issues concerning the quality of life. My brother-in-law's father-in-law was very ill and needed special care. Meanwhile, my nephew (about 15 or 16 years old) was watching tv nearby as we talked.
We started talking about the ethics of how much time and care we spend on the elderly, and were wondering when do you let go? I began to talk about how we must be very careful of when to give up on a life because we do not know what plans Abba God has for them, or how they may touch other people's lives. I then told them about a woman who Corrie Ten Boom knew in a communist country who was paralyzed, except could use one finger and would type out chapters of the Bible. No one suspected her, because she seemed so helpless and many people received the Word from her! It gave her a reason to live and the police never suspected her or her husband.
After talking for awhile, I happened to look down, and there was my sweet nephew sitting on the floor, close to the table, listening very intently to everything we were saying! Suddenly, that dream came rushing back to me and I understood! You never really know who is listening and watching, but Abba has a plan...
On another note, but along the same lines, I was watching "Jewish Voice Ministries" and they were talking about a huge event they had somewhere in South America. Many thousands of people attended and they proudly said that 50 people accepted Yeshua as their Messiah. Well, I thought, what's the big deal? Only 50? Immediately, the Ruach (Holy Spirit) convicted me and let me know that this was wrong, wrong, wrong! He reminded me of Yeshua leaving the 99 and going for that 1 lost sheep. Matthew 18:12-14 says :
"What's your opinion? What will somebody do who has a hundred sheep, and one of them wanders away? Won't he leave the ninety- nine on the hillsides and go off to find the stray? And if he happens to find it? Yes! I tell you he is happier over it than over the ninety- nine that never strayed! Thus your Father in heaven does not want even one of these little ones to be lost.
We must simply love and obey our Father and let HIM take care of the rest...not looking to the left or the right! We may be very surprised one day to find out just WHO was really listening ~ Shalom, Shalom!